Start at the top of the contents underneath and echo each line, ending with the one that has "_cell_length_b 8.583".

The following is a PBE calculation of a relaxed AsPdPtO crystal, from OQMD.

Cell and atoms, written as extended XYZ:
```
8
Lattice="3.907 0.000 0.000 0.000 3.907 0.000 0.000 0.000 7.229" Properties=species:S:1:pos:R:3 pbc="T T T"
As 0.977 0.977 1.659
As 2.930 2.930 5.570
Pd 0.977 2.930 0.000
Pd 2.930 0.977 0.000
Pt 0.977 0.977 4.830
Pt 2.930 2.930 2.399
O 0.977 2.930 3.615
O 2.930 0.977 3.615
```

Values from the calculation:
excess energy over the best structure of this formula in the dataset: 0.176 eV per atom
magnetic moment: 0.026 μB per formula unit
crystal system: tetragonal

---

The following is a PBE calculation of a relaxed Lu2Bi3W4C3 crystal, from OQMD.

Cell and atoms, written as extended XYZ:
```
24
Lattice="5.018 -2.988 0.000 5.018 2.988 0.000 -1.068 0.000 14.479" Properties=species:S:1:pos:R:3 pbc="T T T"
Lu 3.732 2.521 8.642
Lu 4.704 2.521 13.076
Lu 4.266 -2.521 1.403
Lu 5.237 -2.521 5.836
Bi 0.990 0.764 10.557
Bi 1.524 -0.764 3.317
Bi 4.218 0.429 10.859
Bi 4.751 -0.429 3.620
Bi 7.445 0.764 11.161
Bi 7.979 -0.764 3.922
W 2.491 0.412 0.852
W 3.703 0.604 6.290
W 1.957 -0.412 8.091
W 5.800 0.604 0.950
W 3.169 -0.604 13.529
W 7.012 0.412 6.387
W 5.266 -0.604 8.189
W 6.478 -0.412 13.626
C 1.975 1.494 7.239
C 3.070 1.445 14.434
C 5.365 1.445 7.283
C 2.509 -1.494 0.000
C 3.604 -1.445 7.195
C 5.899 -1.445 0.044
```

Values from the calculation:
magnetic moment: 0.003 μB per formula unit
raw total energy: -8.354 eV/atom
crystal system: monoclinic


Record 1
# PBE with a Hubbard U Mg2MnFe3O6, relaxed
# Total energy   -6.6201 eV/atom
# Size of the total moment   1.417 μB/atom
# Crystal system   monoclinic
# SG   C2/m (12)
data_Mg2MnFe3O6
_cell_length_a 6.757
_cell_length_b 6.757
_cell_length_c 6.301
_cell_angle_alpha 103.45
_cell_angle_beta 103.45
_cell_angle_gamma 26.83
_symmetry_space_group_name_H-M 'P 1'
_symmetry_Int_Tables_number 1
loop_
_symmetry_equiv_pos_as_xyz
'x,y,z'
loop_
_atom_site_label
_atom_site_type_symbol
_atom_site_fract_x
_atom_site_fract_y
_atom_site_fract_z
Mg1 Mg 0.168 0.168 0.336
Mg2 Mg 0.832 0.832 0.664
Mn1 Mn 0.500 0.500 0.000
Fe1 Fe 0.166 0.166 0.830
Fe2 Fe 0.500 0.500 0.500
Fe3 Fe 0.834 0.834 0.170
O1 O 0.001 0.001 0.751
O2 O 0.328 0.328 0.899
O3 O 0.334 0.334 0.433
O4 O 0.666 0.666 0.567
O5 O 0.672 0.672 0.101
O6 O 0.999 0.999 0.249

***

Record 2
# PBE with a Hubbard U Mg14MnFeO16, relaxed
# Relative energy among the computed polymorphs   0.0 meV per atom
# Size of the total moment   0.281 μB/atom
# Crystal system   orthorhombic
# SG   Pmmm (47)
data_Mg14MnFeO16
_cell_length_a 4.273
_cell_length_b 8.583
_cell_length_c 8.583
_cell_angle_alpha 90.00
_cell_angle_beta 90.00
_cell_angle_gamma 90.00
_symmetry_space_group_name_H-M 'P 1'
_symmetry_Int_Tables_number 1
loop_
_symmetry_equiv_pos_as_xyz
'x,y,z'
loop_
_atom_site_label
_atom_site_type_symbol
_atom_site_fract_x
_atom_site_fract_y
_atom_site_fract_z
Mg1 Mg 0.000 0.000 0.000
Mg2 Mg 0.000 0.000 0.500
Mg3 Mg 0.000 0.249 0.249
Mg4 Mg 0.000 0.249 0.751
Mg5 Mg 0.000 0.751 0.249
Mg6 Mg 0.000 0.751 0.751
Mg7 Mg 0.500 0.000 0.250
Mg8 Mg 0.500 0.000 0.750
Mg9 Mg 0.500 0.247 0.000
Mg10 Mg 0.500 0.248 0.500
Mg11 Mg 0.500 0.500 0.250
Mg12 Mg 0.500 0.500 0.750
Mg13 Mg 0.500 0.752 0.500
Mg14 Mg 0.500 0.753 0.000
Mn1 Mn 0.000 0.500 0.500
Fe1 Fe 0.000 0.500 0.000
O1 O 0.000 0.000 0.250
O2 O 0.000 0.000 0.750
O3 O 0.000 0.242 0.500
O4 O 0.000 0.243 0.000
O5 O 0.000 0.500 0.248
O6 O 0.000 0.500 0.752
O7 O 0.000 0.757 0.000
O8 O 0.000 0.758 0.500
O9 O 0.500 0.000 0.000
O10 O 0.500 0.000 0.500
O11 O 0.500 0.251 0.250
O12 O 0.500 0.251 0.750
O13 O 0.500 0.500 0.000
O14 O 0.500 0.500 0.500
O15 O 0.500 0.749 0.250
O16 O 0.500 0.749 0.750

***

Record 3
# PBE with a Hubbard U Mg6MnFeO8, relaxed
# Relative energy among the computed polymorphs   61.0 meV per atom
# Size of the total moment   0.563 μB/atom
# Crystal system   tetragonal
# SG   P4/mmm (123)
data_Mg6MnFeO8
_cell_length_a 4.298
_cell_length_b 4.298
_cell_length_c 8.672
_cell_angle_alpha 90.00

The following is a PBE calculation of a relaxed AsPdPtO crystal, from OQMD.

Cell and atoms, written as extended XYZ:
```
8
Lattice="3.907 0.000 0.000 0.000 3.907 0.000 0.000 0.000 7.229" Properties=species:S:1:pos:R:3 pbc="T T T"
As 0.977 0.977 1.659
As 2.930 2.930 5.570
Pd 0.977 2.930 0.000
Pd 2.930 0.977 0.000
Pt 0.977 0.977 4.830
Pt 2.930 2.930 2.399
O 0.977 2.930 3.615
O 2.930 0.977 3.615
```

Values from the calculation:
excess energy over the best structure of this formula in the dataset: 0.176 eV per atom
magnetic moment: 0.026 μB per formula unit
crystal system: tetragonal

---

The following is a PBE calculation of a relaxed Lu2Bi3W4C3 crystal, from OQMD.

Cell and atoms, written as extended XYZ:
```
24
Lattice="5.018 -2.988 0.000 5.018 2.988 0.000 -1.068 0.000 14.479" Properties=species:S:1:pos:R:3 pbc="T T T"
Lu 3.732 2.521 8.642
Lu 4.704 2.521 13.076
Lu 4.266 -2.521 1.403
Lu 5.237 -2.521 5.836
Bi 0.990 0.764 10.557
Bi 1.524 -0.764 3.317
Bi 4.218 0.429 10.859
Bi 4.751 -0.429 3.620
Bi 7.445 0.764 11.161
Bi 7.979 -0.764 3.922
W 2.491 0.412 0.852
W 3.703 0.604 6.290
W 1.957 -0.412 8.091
W 5.800 0.604 0.950
W 3.169 -0.604 13.529
W 7.012 0.412 6.387
W 5.266 -0.604 8.189
W 6.478 -0.412 13.626
C 1.975 1.494 7.239
C 3.070 1.445 14.434
C 5.365 1.445 7.283
C 2.509 -1.494 0.000
C 3.604 -1.445 7.195
C 5.899 -1.445 0.044
```

Values from the calculation:
magnetic moment: 0.003 μB per formula unit
raw total energy: -8.354 eV/atom
crystal system: monoclinic


Record 1
# PBE with a Hubbard U Mg2MnFe3O6, relaxed
# Total energy   -6.6201 eV/atom
# Size of the total moment   1.417 μB/atom
# Crystal system   monoclinic
# SG   C2/m (12)
data_Mg2MnFe3O6
_cell_length_a 6.757
_cell_length_b 6.757
_cell_length_c 6.301
_cell_angle_alpha 103.45
_cell_angle_beta 103.45
_cell_angle_gamma 26.83
_symmetry_space_group_name_H-M 'P 1'
_symmetry_Int_Tables_number 1
loop_
_symmetry_equiv_pos_as_xyz
'x,y,z'
loop_
_atom_site_label
_atom_site_type_symbol
_atom_site_fract_x
_atom_site_fract_y
_atom_site_fract_z
Mg1 Mg 0.168 0.168 0.336
Mg2 Mg 0.832 0.832 0.664
Mn1 Mn 0.500 0.500 0.000
Fe1 Fe 0.166 0.166 0.830
Fe2 Fe 0.500 0.500 0.500
Fe3 Fe 0.834 0.834 0.170
O1 O 0.001 0.001 0.751
O2 O 0.328 0.328 0.899
O3 O 0.334 0.334 0.433
O4 O 0.666 0.666 0.567
O5 O 0.672 0.672 0.101
O6 O 0.999 0.999 0.249

***

Record 2
# PBE with a Hubbard U Mg14MnFeO16, relaxed
# Relative energy among the computed polymorphs   0.0 meV per atom
# Size of the total moment   0.281 μB/atom
# Crystal system   orthorhombic
# SG   Pmmm (47)
data_Mg14MnFeO16
_cell_length_a 4.273
_cell_length_b 8.583